## Job
Please search the rows further down for the word "C40H42AlN6O3Si" and give back each line that has it.

## Excerpt
/*
{
  "formula": "C9H12N3OS",
  "method": "ωB97M-V/def2-TZVPD",
  "elements": ["C", "C", "C", "C", "C", "C", "C", "C", "C", "N", "N", "N", "O", "S", "H", "H", "H", "H", "H", "H", "H", "H", "H", "H", "H", "H"],
  "xyz": [[3.6042, -0.2423, -0.2989], [2.5721, -0.4970, -1.2119], [3.2765, 0.0589, 0.9607], [1.2398, -0.5448, -0.8215], [1.9767, -0.0027, 1.4116], [0.9852, -0.4356, 0.5413], [-1.1174, -1.9090, 0.3134], [-0.3078, -0.7511, 1.0814], [-2.6328, -0.1719, -0.7676], [-2.0388, -1.4585, -0.6345], [-1.6101, 0.8691, -0.5347], [-1.2279, 0.8159, 0.8141], [-0.7627, -3.0064, 0.4384], [-4.1194, 0.3595, 0.3274], [4.6439, -0.1299, -0.5564], [2.9546, -0.4980, -2.2655], [4.0276, 0.4695, 1.6555], [0.3471, -0.6774, -1.4957], [1.6080, 0.2199, 2.4620], [-0.1568, -0.8364, 2.0863], [-2.8349, -0.0166, -1.8012], [-2.7438, -2.1778, -1.0174], [-0.8030, 0.7651, -1.1465], [-2.0516, 0.9764, 1.4431], [-0.6300, 1.6099, 1.0610], [-3.7531, 1.6103, 0.0041]],
  "mulliken_charge": [-0.56, -0.65, -0.36, -0.36, -0.58, 1.22, 0.10, -0.59, -0.40, -0.10, -0.46, -0.13, -0.47, -0.20, 0.41, 0.35, 0.37, 0.27, 0.29, 0.83, 0.56, 0.32, 0.31, 0.31, 0.33, 0.20],
  "charge": 1,
  "s_squared": 2.04,
  "homo_lumo_gap_ev": [6.4, 6.2],
  "multiplicity": 3
}

* * * * *

Formula: C40H42AlN6O3Si
Source: the Open Molecules 2025 dataset
Level of theory: the ωB97M-V functional and the def2-TZVPD basis

Last column: Löwdin charge in e.
Cartesian coordinates (Å):
Al -0.28 0.07 1.00  0.3415
C 0.57 -2.82 -5.85  -0.0670
O 0.86 -2.08 -4.66  -0.0931
C 0.57 -0.73 -4.70  -0.2284
C -0.18 -0.08 -5.64  -0.0168
C -0.52 1.28 -5.50  -0.0658
C 0.07 2.04 -4.49  -0.0640
C 0.90 1.40 -3.53  -0.0077
C 1.11 0.04 -3.66  -0.1729
N 1.78 -0.61 -2.58  0.1588
C 1.35 -0.63 -1.25  -0.3432
N 2.34 -0.78 -0.37  0.1788
C 2.44 -0.83 1.08  -0.1585
C 1.36 -0.55 1.87  -0.1896
C 1.58 -0.57 3.25  -0.1168
C 2.82 -0.81 3.80  -0.0608
C 3.92 -1.16 2.98  0.0111
C 3.74 -1.17 1.59  -0.2048
O 4.68 -1.44 0.65  -0.1032
C 6.01 -1.04 0.81  -0.0532
N 0.11 -0.42 -0.91  0.0981
C -1.04 -0.62 -1.76  -0.1625
C -2.03 0.35 -1.92  -0.0439
C -3.16 0.17 -2.64  -0.0946
C -3.33 -1.01 -3.38  -0.0572
C -2.40 -2.05 -3.23  -0.0051
C -1.28 -1.85 -2.41  -0.2189
O -0.38 -2.84 -2.15  -0.1126
C -0.66 -4.16 -2.57  -0.0698
H 1.20 -3.72 -5.79  0.1075
H 0.85 -2.24 -6.72  0.0860
H -0.48 -3.10 -6.01  0.0910
H -0.74 -0.64 -6.40  0.1207
H -1.20 1.75 -6.21  0.1119
H -0.15 3.13 -4.42  0.1167
H 1.31 1.94 -2.70  0.0954
H 2.40 -1.35 -2.83  0.1484
H 3.24 -0.79 -0.82  0.1400
H 0.73 -0.45 3.89  0.0928
H 2.91 -0.91 4.86  0.0994
H 4.85 -1.48 3.37  0.0985
H 6.09 0.03 0.60  0.1046
H 6.62 -1.62 0.14  0.0938
H 6.33 -1.26 1.82  0.0825
H -1.90 1.34 -1.44  0.1134
H -3.87 1.02 -2.73  0.1221
H -4.26 -1.09 -4.01  0.1253
H -2.53 -2.98 -3.74  0.1036
H 0.07 -4.82 -2.12  0.0913
H -0.60 -4.26 -3.69  0.0972
H -1.63 -4.52 -2.24  0.1011
N -2.55 -1.47 3.05  0.1457
C -1.79 -2.37 2.34  -0.2404
C -1.91 -3.71 2.73  0.0161
C -1.14 -4.65 2.08  -0.0187
C -0.33 -4.25 1.01  -0.0212
C -0.26 -2.92 0.72  -0.0849
N -0.98 -1.96 1.34  0.1251
C -2.80 -0.17 2.82  -0.2579
C -3.76 0.42 3.63  -0.0068
C -4.20 1.68 3.36  -0.0096
C -3.65 2.40 2.24  -0.0051
C -2.63 1.75 1.55  -0.1346
N -2.18 0.49 1.81  0.0988
H -3.08 -1.89 3.79  0.1419
H -2.64 -3.94 3.51  0.1256
H -1.23 -5.68 2.34  0.1122
H 0.29 -4.94 0.52  0.1011
H 0.48 -2.54 0.06  0.0927
H -4.14 -0.10 4.52  0.1332
H -4.86 2.16 4.06  0.1149
H -4.01 3.33 1.92  0.0987
H -2.09 2.30 0.78  0.0543
C -0.16 3.67 -0.52  -0.2076
Si 0.44 2.52 0.94  0.5821
C 2.35 2.59 0.66  -0.2045
C 0.16 3.45 2.50  -0.3138
C 0.93 3.15 3.64  -0.0868
C 0.72 3.84 4.83  -0.0810
C -0.28 4.82 4.87  -0.0892
C -1.03 5.10 3.73  -0.0898
C -0.83 4.42 2.56  -0.1276
H 0.37 4.64 -0.32  0.0537
H -1.20 3.81 -0.64  -0.0066
H 0.26 3.25 -1.45  -0.0005
H 2.64 3.67 0.59  0.0473
H 2.67 2.13 -0.31  0.0261
H 2.94 2.13 1.45  0.0137
H 1.68 2.41 3.57  0.0741
H 1.32 3.65 5.74  0.1131
H -0.49 5.32 5.81  0.0990
H -1.82 5.82 3.87  0.1004
H -1.42 4.63 1.67  0.0959

Computed properties:
maximum force	3.03	eV/Å
*/

## Reply
Formula: C40H42AlN6O3Si